### Job
Now say how many lines of the lines underneath hold the word "non-equilibrium", as a bare number.

### Excerpt
-- begin --
Here is the molecule C21H28N2O3 from the OMol25 dataset. Energies are from ωB97M-V with the def2-TZVPD basis set.

Each line ends with the natural charge from an NBO analysis.
CARTESIAN COORDINATES (ANGSTROEM)
C -8.469 -0.199 -2.371  -0.378
C -7.518 -0.886 -1.770  -0.188
C -6.218 -0.302 -1.310  -0.109
O -5.935 -0.824 -0.025  -0.510
C -4.797 -0.435 0.605  0.397
C -4.606 -0.953 1.888  -0.282
C -3.484 -0.617 2.615  -0.184
C -2.525 0.228 2.078  -0.245
C -2.702 0.735 0.799  -0.088
C -1.726 1.716 0.219  0.672
O -2.006 2.898 0.124  -0.620
N -0.543 1.211 -0.194  -0.434
C -0.151 -0.174 -0.137  -0.214
C 1.061 -0.337 0.781  -0.392
C 2.218 0.546 0.305  -0.227
C 3.416 0.393 1.248  -0.381
C 4.645 1.199 0.811  -0.505
C 4.977 0.989 -0.653  0.689
O 4.762 1.833 -1.500  -0.627
N 5.536 -0.196 -1.001  -0.619
C 5.835 -1.322 -0.183  -0.060
C 4.973 -2.556 -0.267  -0.437
C 6.361 -2.559 -0.838  -0.418
C 1.739 1.995 0.202  -0.409
C 0.498 2.089 -0.684  -0.224
C -3.839 0.416 0.066  -0.309
H -8.371 0.856 -2.566  0.192
H -9.381 -0.664 -2.702  0.202
H -7.626 -1.943 -1.569  0.206
H -5.421 -0.593 -2.014  0.182
H -6.275 0.794 -1.279  0.185
H -5.361 -1.609 2.292  0.224
H -3.354 -1.014 3.611  0.216
H -1.652 0.500 2.651  0.215
H -0.986 -0.782 0.213  0.230
H 0.118 -0.501 -1.151  0.187
H 1.365 -1.386 0.798  0.207
H 0.781 -0.050 1.797  0.198
H 2.518 0.214 -0.696  0.199
H 3.676 -0.666 1.306  0.207
H 3.128 0.719 2.251  0.208
H 4.456 2.264 0.945  0.236
H 5.501 0.925 1.431  0.219
H 5.704 -0.301 -1.993  0.403
H 6.238 -1.056 0.786  0.213
H 4.782 -3.117 0.634  0.218
H 4.145 -2.541 -0.959  0.220
H 7.128 -3.123 -0.330  0.224
H 6.465 -2.558 -1.912  0.216
H 2.520 2.616 -0.235  0.234
H 1.501 2.374 1.198  0.198
H 0.097 3.104 -0.688  0.250
H 0.755 1.802 -1.710  0.189
H -3.954 0.847 -0.916  0.226

Values from the calculation:
Energy above the lowest of the compared OMol25 structures with the same formula, charge and spin ... 3.105 eV
LUMO level ... 0.72 eV
SMILES ... C=CCOc1cccc(C(=O)N2CCC(CCC(=O)NC3CC3)CC2)c1



Here is the molecule C4H7NO from the OMol25 dataset. Energies are from ωB97M-V with the def2-TZVPD basis set.

Each line ends with the natural charge from an NBO analysis.
CARTESIAN COORDINATES (ANGSTROEM)
O -0.544 -1.867 -0.796  -0.698
C -0.421 -0.523 -1.085  0.071
C -1.093 0.454 -0.195  -0.376
C 0.192 0.553 1.603  -0.088
N 1.055 -0.424 0.935  -0.692
C 0.518 0.255 -0.215  -0.107
H -0.003 -2.012 0.003  0.494
H -0.383 -0.312 -2.150  0.200
H -1.745 0.038 0.557  0.279
H -1.384 1.424 -0.581  0.234
H 0.716 1.542 1.547  0.088
H 2.049 -0.208 0.980  0.371
H 1.069 1.089 -0.639  0.223

Values from the calculation:
Energy above the lowest of the compared OMol25 structures with the same formula, charge and spin ... 6.250 eV
LUMO level ... 0.79 eV



Here is the molecule C4H6O2S in a non-equilibrium geometry from the OMol25 dataset. Energies are from ωB97M-V with the def2-TZVPD basis set.

Each line ends with the natural charge from an NBO analysis.
CARTESIAN COORDINATES (ANGSTROEM)
C -2.102 -0.781 -2.451  -0.278
O -1.037 -0.245 -1.562  -0.478
C -0.262 -1.230 -0.942  0.205
C 0.545 -1.026 0.107  -0.411
C 0.491 0.404 0.692  0.332
O -0.277 1.221 0.285  -0.524
S 1.433 0.782 2.066  -0.036
H -2.706 -0.007 -2.895  0.208
H -2.996 -1.452 -2.143  0.194
H -1.517 -1.357 -3.293  0.177
H -0.176 -2.197 -1.369  0.178
H 1.118 -1.874 0.641  0.243
H 1.828 2.370 1.780  0.190

Values from the calculation:
Energy above the lowest of the compared OMol25 structures with the same formula, charge and spin ... 3.241 eV
LUMO level ... 0.03 eV
SMILES ... CO/C=C\C(=O)S



Here is a cluster of 2 separate species, C2H3ClF2O in total in a non-equilibrium geometry from the OMol25 dataset. Energies are from ωB97M-V with the def2-TZVPD basis set.

Each line ends with the natural charge from an NBO analysis.
CARTESIAN COORDINATES (ANGSTROEM)
F 1.853 0.937 1.209  -0.333
C 1.598 0.496 -0.055  0.498
F 2.843 0.715 -0.577  -0.336
Cl 1.186 -1.198 -0.033  -0.017
H 0.843 1.166 -0.603  0.190
C -2.103 -0.533 0.023  0.288
-- stop --

### Done
2